Full Persuasive Speech: "Extra Credit You Can Live Without" by Anna Martinez

Audience Analysis

## Here the entry breaks off for materials data
~~~
This record from Materials Project describes a relaxed structure of GeBr4. The functional is r2SCAN.

a = 11.317 Å, b = 11.317 Å, c = 11.317 Å
α = 90.00°, β = 90.00°, γ = 90.00°
Sites, in units of the cell vectors:
Ge (0.131, 0.131, 0.131)
Ge (0.131, 0.369, 0.631)
Ge (0.369, 0.631, 0.131)
Ge (0.369, 0.869, 0.631)
Ge (0.631, 0.131, 0.369)
Ge (0.631, 0.369, 0.869)
Ge (0.869, 0.631, 0.369)
Ge (0.869, 0.869, 0.869)
Br (0.007, 0.248, 0.023)
Br (0.007, 0.252, 0.523)
Br (0.023, 0.007, 0.248)
Br (0.023, 0.493, 0.748)
Br (0.247, 0.247, 0.247)
Br (0.247, 0.253, 0.747)
Br (0.248, 0.023, 0.007)
Br (0.248, 0.477, 0.507)
Br (0.252, 0.523, 0.007)
Br (0.252, 0.977, 0.507)
Br (0.253, 0.747, 0.247)
Br (0.253, 0.753, 0.747)
Br (0.477, 0.507, 0.248)
Br (0.477, 0.993, 0.748)
Br (0.493, 0.748, 0.023)
Br (0.493, 0.752, 0.523)
Br (0.507, 0.248, 0.477)
Br (0.507, 0.252, 0.977)
Br (0.523, 0.007, 0.252)
Br (0.523, 0.493, 0.752)
Br (0.747, 0.247, 0.253)
Br (0.747, 0.253, 0.753)
Br (0.748, 0.023, 0.493)
Br (0.748, 0.477, 0.993)
Br (0.752, 0.523, 0.493)
Br (0.752, 0.977, 0.993)
Br (0.753, 0.747, 0.253)
Br (0.753, 0.753, 0.753)
Br (0.977, 0.507, 0.252)
Br (0.977, 0.993, 0.752)
Br (0.993, 0.748, 0.477)
Br (0.993, 0.752, 0.977)

## Properties
energy of formation from the pure elements = -0.702 eV per atom

* * * * *

Version i
First-principles (PBE with a Hubbard U) data for a geometry-optimized Li2VF5 structure, as listed in Materials Project.

Lattice parameters (Å, degrees): 9.737 5.836 7.835 73.71 90.00 90.00
Positions (direct):
1 Li 0.806 0.859 0.483
2 Li 0.177 0.666 0.627
3 Li 0.694 0.859 0.983
4 Li 0.323 0.666 0.127
5 Li 0.677 0.334 0.873
6 Li 0.306 0.141 0.017
7 Li 0.823 0.334 0.373
8 Li 0.194 0.141 0.517
9 V 0.493 0.870 0.710
10 V 0.007 0.870 0.210
11 V 0.993 0.130 0.790
12 V 0.507 0.130 0.290
13 F 0.125 0.899 0.746
14 F 0.384 0.915 0.906
15 F 0.375 0.899 0.246
16 F 0.116 0.915 0.406
17 F 0.609 0.870 0.492
18 F 0.617 0.635 0.876
19 F 0.369 0.636 0.676
20 F 0.891 0.870 0.992
21 F 0.883 0.635 0.376
22 F 0.869 0.364 0.824
23 F 0.131 0.636 0.176
24 F 0.117 0.365 0.624
25 F 0.109 0.130 0.008
26 F 0.631 0.364 0.324
27 F 0.383 0.365 0.124
28 F 0.391 0.130 0.508
29 F 0.884 0.085 0.594
30 F 0.625 0.101 0.754
31 F 0.616 0.085 0.094
32 F 0.875 0.101 0.254

Computed properties:
The value obtained for the total magnetic moment is 8.00 μB per cell.

---

Version ii
First-principles (PBE with a Hubbard U) data for a geometry-optimized Li2VF5 structure, as listed in Materials Project.

Lattice parameters (Å, degrees): 6.951 7.482 7.818 89.40 90.00 90.00
Positions (direct):
1 Li 0.518 0.751 0.981
2 Li 0.482 0.751 0.481
3 Li 0.262 0.529 0.814
4 Li 0.738 0.529 0.314
5 Li 0.003 0.262 0.541
6 Li 0.997 0.262 0.041
7 Li 0.809 0.002 0.799
8 Li 0.191 0.002 0.299
9 V 0.012 0.743 0.596
10 V 0.988 0.743 0.096
11 V 0.519 0.254 0.899
12 V 0.481 0.254 0.399
13 F 0.546 0.991 0.882
14 F 0.454 0.991 0.382
15 F 0.904 0.764 0.844
16 F 0.096 0.764 0.344
17 F 0.283 0.755 0.658
18 F 0.717 0.755 0.158
~~~

Anna alludes to a class survey that helped her determine her audience's attitudes and practices regarding credit card use. This information helped her tailor her message to be as relevant and persuasive as possible. Anna knows the limits of her persuasive goal and wisely chooses to focus on cautious credit card use rather than on eliminating credit cards entirely.

She shares the stories of her wedding debts, a college student's burdensome debt, and references the aggressive credit card marketing on their campus, in their very classroom. Her examples, her references, and language are particularly targeted for the college student.

Content and Supporting Ideas

Anna's speech content is presented in a problem-cause-solution format. She establishes the problems created by college student credit card debt citing statistical data from four credible and fully documented sources. Further, she references information that "over two-thirds of [this] class said that they are carrying a balance on one or more cards." In the solution portion of her speech Anna presents a range of ideas which are described through example, illustrated visually, or are supported with strong source research.


Anna leads her audience carefully through a well organized speech. Her introduction is effective as it builds interest with suspense and mystery. She immediately relates her topic to her audience by mentioning her wedding bills and the survey she has done of her class. Anna's thesis is tailored to be a reasonable persuasive goal which makes her more credible as a speaker. She clearly previews her three main points and uses transitions like "we'll start with a look at the problemsÉ" and "so here are some other ways that you can be credit card smart." As she offers her list of solutions Anna signposts these with words like "a second solution isÉ" or "third." Anna's conclusion reminds her audience of the main points of the speech with a clear summary. Her closing remarks are delightfully ironic and memorable.

Materials data, as found in the file =
- - -
Entry 1:
Compound: VP4O12
Source: the Materials Project database
Functional: GGA+U
Structure: relaxed

The structure in POSCAR format:
```
VP4O12
1.0
6.844 4.854 0.000
-6.844 4.854 0.000
0.000 1.850 7.567
O P V
24 8 2
Cartesian
1.533 5.317 1.892 O
0.391 2.598 6.263 O
1.507 7.773 2.386 O
1.985 6.303 7.066 O
-0.391 8.960 1.304 O
-1.985 5.255 0.501 O
-5.099 5.482 7.531 O
5.099 4.557 3.747 O
-3.687 5.017 5.228 O
0.391 9.885 5.088 O
-1.985 5.378 3.282 O
3.687 6.542 2.339 O
-3.687 7.467 6.122 O
1.985 6.180 4.285 O
-1.533 6.242 5.675 O
-1.507 3.786 5.180 O
5.082 6.242 5.675 O
1.507 2.861 1.397 O
-1.507 8.698 6.170 O
-5.082 5.317 1.892 O
-5.099 7.002 3.820 O
-0.391 1.673 2.479 O
5.099 6.077 0.036 O
3.687 4.092 1.445 O
-1.120 9.748 5.078 P
1.120 1.810 2.489 P
-2.221 7.330 6.648 P
-2.221 5.153 4.702 P
1.120 8.823 1.295 P
2.221 4.228 0.919 P
2.221 6.405 2.865 P
-1.120 2.735 6.272 P
-5.023 6.242 5.675 V
5.023 5.317 1.892 V
```

Symmetry   C2/c
Energy relative to the lowest polymorph listed for this composition   18 meV/atom


Entry 2:
Compound: V3P3O13
Source: the Materials Project database
Functional: GGA+U
Structure: relaxed

The structure in POSCAR format:
```
V3P3O13
1.0
6.377 0.000 0.000
0.000 7.627 0.000
0.000 1.619 10.253
O V P
26 6 6
Cartesian
6.029 5.180 2.198 O
1.594 3.930 0.592 O
4.782 1.086 6.062 O
1.594 2.603 6.404 O
4.782 6.260 7.488 O
6.056 7.524 9.314 O
3.536 5.180 2.198 O
4.782 7.221 1.365 O
3.509 7.524 9.314 O
1.594 2.986 2.764 O
4.782 6.643 3.848 O
2.855 6.638 5.785 O
6.043 2.607 4.468 O
3.522 2.607 4.468 O
4.782 3.591 6.398 O
1.594 8.160 4.191 O
2.841 4.066 8.055 O
0.321 1.722 0.939 O
4.782 5.316 9.660 O
2.867 1.722 0.939 O
1.594 5.655 3.855 O
0.348 4.066 8.055 O
4.782 2.473 9.274 O
1.594 2.025 8.888 O
1.594 6.773 0.979 O
0.334 6.638 5.785 O
4.782 6.932 5.694 V
4.782 4.020 8.290 V
1.594 2.314 4.559 V
0.000 0.000 0.000 V
1.594 5.226 1.963 V
3.188 0.000 0.000 V
4.782 6.742 8.991 P
1.594 2.504 1.262 P
4.782 6.035 2.387 P
1.594 6.746 4.920 P
4.782 2.500 5.332 P
1.594 3.211 7.866 P
```

Symmetry   P2_1/m


Entry 3:
Compound: VP4O12
Source: the Materials Project database
Functional: GGA+U
Structure: relaxed

The structure in POSCAR format:
```
VP4O12
1.0
2.226 -6.611 4.635
3.756 -7.042 -2.541
9.372 -0.963 2.056
O P V
24 8 2
Cartesian
11.707 -6.689 2.281 O
6.333 -8.375 0.432 O
11.353 -9.469 1.999 O
11.082 -6.222 5.389 O
7.710 -1.736 2.153 O
4.000 -5.148 2.151 O
11.537 -10.932 3.948 O
7.475 -6.044 -0.697 O
7.190 -10.545 1.333 O
7.878 -8.572 4.847 O
3.189 -1.301 0.353 O
8.582 -8.479 1.722 O
3.815 -3.685 0.202 O
8.163 -4.071 2.817 O
4.911 -5.922 -0.018 O
10.442 -8.694 4.168 O
6.265 -8.874 2.857 O
3.646 -7.927 1.869 O
6.771 -6.137 2.428 O
12.163 -13.315 3.797 O
9.088 -5.742 1.292 O
7.642 -12.880 1.996 O
4.271 -8.394 -1.240 O
9.020 -6.242 3.717 O
8.146 -5.663 2.594 P
3.670 -5.240 0.579 P
12.168 -9.610 0.650 P
11.683 -9.376 3.570 P
6.458 -8.840 4.428 P
7.207 -8.953 1.556 P
8.895 -5.776 -0.278 P
3.184 -5.007 3.500 P
5.878 -7.220 -0.993 V
- - -
So much for the materials data =


Anna uses her voice skillfully. Her speaking pace and volume are excellent and she accentuates important words to provide vocal variety and punch. Her light touches of drama and humor might be played up a bit more with facial animation and a slight pause. Anna appears very confident. Her posture and eye contact are self-assured. She scans her audience throughout the speech, in command of her topic and script. She gestures spontaneously and otherwise remains still.

Visual Aids

Anna uses visual aids twice. Her gimmick of cutting up her credit card was dramatic; however, when she revealed that she wasnÕt actually suggesting that audience members give up using credit cards entirely, and admitted that it was an expired card, the effect was diminished. The gesture became hollow rather than symbolic. The projected enlargement of a credit card ad was an effective example of the fine print she warns about.